[Excerpt]
-- begin --
First-principles (meta-GGA r2SCAN) data for crystalline KIn4 at its relaxed geometry, as listed in the Materials Project database.

```
data_KIn4
_chemical_formula_sum 'K2 In8'
_space_group_name_H-M_alt 'I 4/m m m'
_space_group_IT_number 139
_space_group_name_Hall '-I 4 2'
_cell_length_a 4.861
_cell_length_b 4.861
_cell_length_c 12.698
_cell_angle_alpha 90.00
_cell_angle_beta 90.00
_cell_angle_gamma 90.00
loop_
_atom_site_label
_atom_site_fract_x
_atom_site_fract_y
_atom_site_fract_z
_atom_site_occupancy
K1 0.000 0.000 0.000 1
In1 0.000 0.000 0.388 1
In2 0.000 0.500 0.250 1
```

Output
ΔE_f = -0.249 eV/atom

First-principles (meta-GGA r2SCAN) data for crystalline CeMg2 at its relaxed geometry, as listed in the Materials Project database.

```
data_CeMg2
_chemical_formula_sum 'Ce2 Mg4'
_space_group_name_H-M_alt 'P -6 m 2'
_space_group_IT_number 187
_space_group_name_Hall 'P -6 2'
_cell_length_a 3.1018
_cell_length_b 3.1018
_cell_length_c 17.1163
_cell_angle_alpha 90.00
_cell_angle_beta 90.00
_cell_angle_gamma 120.00
loop_
_atom_site_label
_atom_site_fract_x
_atom_site_fract_y
_atom_site_fract_z
_atom_site_occupancy
Ce1 0.0000 0.0000 0.1749 1
Mg1 0.0000 0.0000 0.5000 1
Mg2 0.6667 0.3333 0.0000 1
Mg3 0.6667 0.3333 0.3471 1
```

Output
ΔE_f = -0.007 eV/atom

First-principles (meta-GGA r2SCAN) data for crystalline K2Ca2S3O12 at its relaxed geometry, as listed in the Materials Project database.

```
data_K2Ca2S3O12
_chemical_formula_sum 'K8 Ca8 S12 O48'
_space_group_name_H-M_alt 'P 21 3'
_space_group_IT_number 198
_space_group_name_Hall 'P 2ac 2ab 3'
_cell_length_a 10.463
_cell_length_b 10.463
_cell_length_c 10.463
_cell_angle_alpha 90.00
_cell_angle_beta 90.00
_cell_angle_gamma 90.00
loop_
_atom_site_label
_atom_site_fract_x
_atom_site_fract_y
_atom_site_fract_z
_atom_site_occupancy
K1 0.052 0.052 0.052 1
K2 0.188 0.312 0.688 1
Ca1 0.087 0.913 0.413 1
Ca2 0.173 0.673 0.827 1
S1 0.007 0.230 0.374 1
O1 0.014 0.103 0.312 1
O2 0.021 0.087 0.725 1
O3 0.037 0.826 0.218 1
O4 0.075 0.867 0.766 1
```

Output
ΔE_f = -2.265 eV/atom

First-principles (meta-GGA r2SCAN) data for crystalline Ba3Zn2As4 at its relaxed geometry, as listed in the Materials Project database.

```
data_Ba3Zn2As4
_chemical_formula_sum 'Ba6 Zn4 As8'
_space_group_name_H-M_alt 'C 1 2/m 1'
_space_group_IT_number 12
_cell_length_a 17.016
_cell_length_b 4.498
_cell_length_c 7.279
_cell_angle_alpha 90.00
_cell_angle_beta 113.26
_cell_angle_gamma 90.00
loop_
_space_group_symop_operation_xyz
'x,y,z'
'-x,-y,-z'
'-x,y,-z'
'x,-y,z'
'x+1/2,y+1/2,z'
'-x+1/2,-y+1/2,-z'
'-x+1/2,y+1/2,-z'
'x+1/2,-y+1/2,z'
loop_
_atom_site_label
_atom_site_fract_x
_atom_site_fract_y
_atom_site_fract_z
_atom_site_occupancy
Ba1 0.000 0.000 0.000 1
Ba2 0.144 0.000 0.584 1
Zn1 0.171 0.500 0.961 1
As1 0.012 0.500 0.680 1
As2 0.206 0.000 0.161 1
```

Output
ΔE_f = -0.997 eV/atom

First-principles (meta-GGA r2SCAN) data for crystalline Ti2SiC at its relaxed geometry, as listed in the Materials Project database.

```
data_Ti2SiC
_chemical_formula_sum 'Ti4 Si2 C2'
_space_group_name_H-M_alt 'P 63/m m c'
_space_group_IT_number 194
_space_group_name_Hall '-P 6c 2c'
_cell_length_a 3.0493
_cell_length_b 3.0493
_cell_length_c 12.8028
_cell_angle_alpha 90.00
_cell_angle_beta 90.00
_cell_angle_gamma 120.00
loop_
_atom_site_label
_atom_site_fract_x
_atom_site_fract_y
_atom_site_fract_z
_atom_site_occupancy
Ti1 0.3333 0.6667 0.0917 1
Si1 0.3333 0.6667 0.7500 1
C1 0.0000 0.0000 0.0000 1
```

Output
ΔE_f = -0.849 eV/atom

First-principles (meta-GGA r2SCAN) data for crystalline CeMnSi2 at its relaxed geometry, as listed in the Materials Project database.

```
data_CeMnSi2
_chemical_formula_sum 'Ce4 Mn4 Si8'
_space_group_name_H-M_alt 'C m c m'
_space_group_IT_number 63
_space_group_name_Hall '-C 2c 2'
_cell_length_a 4.047
_cell_length_b 17.506
_cell_length_c 4.009
_cell_angle_alpha 90.00
_cell_angle_beta 90.00
_cell_angle_gamma 90.00
loop_
_atom_site_label
_atom_site_fract_x
_atom_site_fract_y
_atom_site_fract_z
-- stop --

[Work order]
Count the lines earlier on that contain the word "r2SCAN" and give the number alone.

[Result]
6